[Excerpt]
********
The following is a quantum chemistry calculation of 14 unconnected molecules or ions with the total composition C42H84O42 at a distorted geometry, from the Open Molecules 2025 dataset.

Positions of all 168 atoms, in Å:
1 C 12.63720 -0.28253 2.68267
2 O 12.63681 -1.68890 2.38728
3 C 11.44266 -2.32879 2.22491
4 O 10.33076 -1.75110 2.25290
5 O 11.69306 -3.63482 2.19572
6 C 10.75211 -4.64037 1.88752
7 H 11.73355 0.05005 3.19346
8 H 12.58589 0.10800 1.66632
9 H 13.53824 0.04748 3.19970
10 H 10.14601 -4.70779 2.79097
11 H 11.15091 -5.61293 1.59914
12 H 10.09288 -4.45010 1.04057
13 C -6.06015 -1.28644 5.51364
14 O -6.18443 -0.64150 6.77154
15 C -7.43644 -0.13473 6.96827
16 O -8.46613 -0.12911 6.22682
17 O -7.30245 0.42731 8.17719
18 C -8.41538 1.19879 8.61024
19 H -5.27050 -2.03689 5.47638
20 H -5.95475 -0.51330 4.75255
21 H -6.96421 -1.84648 5.27465
22 H -8.28918 1.44255 9.66510
23 H -9.40566 0.74333 8.61222
24 H -8.40314 2.13965 8.06002
25 C -0.47595 -2.08573 -12.45374
26 O 0.07751 -1.76239 -11.20350
27 C 0.40618 -2.76002 -10.34939
28 O 0.30996 -4.00031 -10.51174
29 O 0.92648 -2.20858 -9.22871
30 C 1.04947 -2.88796 -8.00107
31 H 0.27686 -2.43666 -13.15959
32 H -0.90867 -1.12328 -12.72676
33 H -1.26846 -2.83091 -12.38507
34 H 0.09654 -3.36011 -7.76212
35 H 1.22047 -2.12141 -7.24526
36 H 1.83692 -3.63723 -8.08243
37 C 7.71251 -0.48718 8.72315
38 O 7.64303 -1.80108 9.24231
39 C 8.58769 -2.69585 9.25481
40 O 9.72571 -2.47246 8.89735
41 O 8.08450 -3.92794 9.56501
42 C 8.91191 -5.14500 9.48836
43 H 7.49212 -0.44287 7.65659
44 H 8.68174 -0.10779 9.04681
45 H 7.02803 0.12226 9.31322
46 H 8.16075 -5.90367 9.26867
47 H 9.44194 -5.36696 10.41459
48 H 9.56046 -4.93680 8.63738
49 C 2.51623 -0.67642 1.61061
50 O 1.62009 -1.21588 0.66706
51 C 0.39639 -0.72419 0.65652
52 O -0.18033 0.06897 1.43420
53 O -0.30495 -1.26825 -0.37662
54 C -1.59892 -0.83676 -0.70336
55 H 3.28645 -0.15686 1.04059
56 H 2.96130 -1.42443 2.26674
57 H 2.10715 0.17759 2.15043
58 H -2.37605 -1.58813 -0.56333
59 H -1.70289 -0.69185 -1.77866
60 H -1.86722 0.08724 -0.19116
61 C -6.87141 6.51106 -8.70982
62 O -5.75385 5.88122 -7.99211
63 C -4.79114 5.20386 -8.62067
64 O -4.72205 5.00239 -9.81220
65 O -4.07342 4.65479 -7.68780
66 C -3.03172 3.80211 -8.16238
67 H -7.71771 6.75734 -8.06856
68 H -7.22618 5.76619 -9.42214
69 H -6.55675 7.36550 -9.30902
70 H -3.45655 2.90534 -8.61342
71 H -2.42495 3.66654 -7.26708
72 H -2.28289 4.25590 -8.81154
73 C -1.52577 -6.90834 2.61684
74 O -0.16027 -6.97201 2.73119
75 C 0.45699 -6.46336 3.94015
76 O -0.15023 -5.96037 4.86467
77 O 1.76636 -6.57477 3.89582
78 C 2.51872 -6.28721 5.08705
79 H -1.91662 -7.61273 1.88255
80 H -1.88427 -5.97026 2.19310
81 H -2.14920 -7.10301 3.48951
82 H 2.11867 -5.39571 5.57002
83 H 3.58811 -6.37407 4.89477
84 H 2.29037 -6.98008 5.89693
85 C 3.92335 4.20745 -6.11933
86 O 3.12470 5.09526 -5.35526
87 C 3.11162 4.93467 -4.05031
88 O 3.58646 4.06953 -3.37937
89 O 2.39375 5.90989 -3.57852
90 C 1.94277 5.90231 -2.20193
91 H 4.95425 4.02359 -5.81680
92 H 3.89302 4.48550 -7.17284
93 H 3.38639 3.26377 -6.02319
94 H 1.58219 6.86468 -1.83873
95 H 2.78702 5.75128 -1.52922
96 H 1.27008 5.08163 -1.95277
97 C -8.71762 -0.41666 -7.08172
98 O -8.52931 -1.49402 -7.97724
99 C -7.28430 -2.07189 -8.09994
100 O -6.35822 -1.83953 -7.33901
101 O -7.35613 -3.03204 -9.04844
102 C -6.28014 -3.92752 -9.13985
103 H -7.78985 -0.25994 -6.53147
104 H -9.60056 -0.68311 -6.50076
105 H -8.83864 0.48764 -7.67815
106 H -6.53636 -4.98655 -9.17021
107 H -5.64069 -3.84658 -8.26084
108 H -5.73224 -3.73805 -10.06289
109 C 1.86190 8.17513 4.92553
110 O 3.24852 8.32545 5.25673
111 C 4.14658 7.27615 5.02339
112 O 3.87501 6.11753 4.65933
113 O 5.32838 7.71284 5.50774
114 C 6.51410 6.82658 5.34729
115 H 1.21409 7.78083 5.70845
116 H 1.60671 7.55837 4.06380
117 H 1.41415 9.14748 4.72023
118 H 6.97176 6.57101 6.30297
119 H 7.21414 7.47022 4.81459
120 H 6.40415 5.94309 4.71843
121 C -10.63785 -3.51671 -1.54564
122 O -10.32085 -4.70270 -2.24107
********

[What to do]
The reader should write out everything above verbatim.

[Worked solution]
The following is a quantum chemistry calculation of 14 unconnected molecules or ions with the total composition C42H84O42 at a distorted geometry, from the Open Molecules 2025 dataset.

Positions of all 168 atoms, in Å:
1 C 12.63720 -0.28253 2.68267
2 O 12.63681 -1.68890 2.38728
3 C 11.44266 -2.32879 2.22491
4 O 10.33076 -1.75110 2.25290
5 O 11.69306 -3.63482 2.19572
6 C 10.75211 -4.64037 1.88752
7 H 11.73355 0.05005 3.19346
8 H 12.58589 0.10800 1.66632
9 H 13.53824 0.04748 3.19970
10 H 10.14601 -4.70779 2.79097
11 H 11.15091 -5.61293 1.59914
12 H 10.09288 -4.45010 1.04057
13 C -6.06015 -1.28644 5.51364
14 O -6.18443 -0.64150 6.77154
15 C -7.43644 -0.13473 6.96827
16 O -8.46613 -0.12911 6.22682
17 O -7.30245 0.42731 8.17719
18 C -8.41538 1.19879 8.61024
19 H -5.27050 -2.03689 5.47638
20 H -5.95475 -0.51330 4.75255
21 H -6.96421 -1.84648 5.27465
22 H -8.28918 1.44255 9.66510
23 H -9.40566 0.74333 8.61222
24 H -8.40314 2.13965 8.06002
25 C -0.47595 -2.08573 -12.45374
26 O 0.07751 -1.76239 -11.20350
27 C 0.40618 -2.76002 -10.34939
28 O 0.30996 -4.00031 -10.51174
29 O 0.92648 -2.20858 -9.22871
30 C 1.04947 -2.88796 -8.00107
31 H 0.27686 -2.43666 -13.15959
32 H -0.90867 -1.12328 -12.72676
33 H -1.26846 -2.83091 -12.38507
34 H 0.09654 -3.36011 -7.76212
35 H 1.22047 -2.12141 -7.24526
36 H 1.83692 -3.63723 -8.08243
37 C 7.71251 -0.48718 8.72315
38 O 7.64303 -1.80108 9.24231
39 C 8.58769 -2.69585 9.25481
40 O 9.72571 -2.47246 8.89735
41 O 8.08450 -3.92794 9.56501
42 C 8.91191 -5.14500 9.48836
43 H 7.49212 -0.44287 7.65659
44 H 8.68174 -0.10779 9.04681
45 H 7.02803 0.12226 9.31322
46 H 8.16075 -5.90367 9.26867
47 H 9.44194 -5.36696 10.41459
48 H 9.56046 -4.93680 8.63738
49 C 2.51623 -0.67642 1.61061
50 O 1.62009 -1.21588 0.66706
51 C 0.39639 -0.72419 0.65652
52 O -0.18033 0.06897 1.43420
53 O -0.30495 -1.26825 -0.37662
54 C -1.59892 -0.83676 -0.70336
55 H 3.28645 -0.15686 1.04059
56 H 2.96130 -1.42443 2.26674
57 H 2.10715 0.17759 2.15043
58 H -2.37605 -1.58813 -0.56333
59 H -1.70289 -0.69185 -1.77866
60 H -1.86722 0.08724 -0.19116
61 C -6.87141 6.51106 -8.70982
62 O -5.75385 5.88122 -7.99211
63 C -4.79114 5.20386 -8.62067
64 O -4.72205 5.00239 -9.81220
65 O -4.07342 4.65479 -7.68780
66 C -3.03172 3.80211 -8.16238
67 H -7.71771 6.75734 -8.06856
68 H -7.22618 5.76619 -9.42214
69 H -6.55675 7.36550 -9.30902
70 H -3.45655 2.90534 -8.61342
71 H -2.42495 3.66654 -7.26708
72 H -2.28289 4.25590 -8.81154
73 C -1.52577 -6.90834 2.61684
74 O -0.16027 -6.97201 2.73119
75 C 0.45699 -6.46336 3.94015
76 O -0.15023 -5.96037 4.86467
77 O 1.76636 -6.57477 3.89582
78 C 2.51872 -6.28721 5.08705
79 H -1.91662 -7.61273 1.88255
80 H -1.88427 -5.97026 2.19310
81 H -2.14920 -7.10301 3.48951
82 H 2.11867 -5.39571 5.57002
83 H 3.58811 -6.37407 4.89477
84 H 2.29037 -6.98008 5.89693
85 C 3.92335 4.20745 -6.11933
86 O 3.12470 5.09526 -5.35526
87 C 3.11162 4.93467 -4.05031
88 O 3.58646 4.06953 -3.37937
89 O 2.39375 5.90989 -3.57852
90 C 1.94277 5.90231 -2.20193
91 H 4.95425 4.02359 -5.81680
92 H 3.89302 4.48550 -7.17284
93 H 3.38639 3.26377 -6.02319
94 H 1.58219 6.86468 -1.83873
95 H 2.78702 5.75128 -1.52922
96 H 1.27008 5.08163 -1.95277
97 C -8.71762 -0.41666 -7.08172
98 O -8.52931 -1.49402 -7.97724
99 C -7.28430 -2.07189 -8.09994
100 O -6.35822 -1.83953 -7.33901
101 O -7.35613 -3.03204 -9.04844
102 C -6.28014 -3.92752 -9.13985
103 H -7.78985 -0.25994 -6.53147
104 H -9.60056 -0.68311 -6.50076
105 H -8.83864 0.48764 -7.67815
106 H -6.53636 -4.98655 -9.17021
107 H -5.64069 -3.84658 -8.26084
108 H -5.73224 -3.73805 -10.06289
109 C 1.86190 8.17513 4.92553
110 O 3.24852 8.32545 5.25673
111 C 4.14658 7.27615 5.02339
112 O 3.87501 6.11753 4.65933
113 O 5.32838 7.71284 5.50774
114 C 6.51410 6.82658 5.34729
115 H 1.21409 7.78083 5.70845
116 H 1.60671 7.55837 4.06380
117 H 1.41415 9.14748 4.72023
118 H 6.97176 6.57101 6.30297
119 H 7.21414 7.47022 4.81459
120 H 6.40415 5.94309 4.71843
121 C -10.63785 -3.51671 -1.54564
122 O -10.32085 -4.70270 -2.24107